• Activity:
Next, count the lines further down that contain the word "enthalpy" and give the number alone.

• Contents:
=====
# Sr2PuAl3Au12

A relaxed Sr2PuAl3Au12 crystal (PBE-GGA, the Alexandria database).

Summary:
Formation enthalpy at 0 K ... -0.26 eV/atom
Crystal system ... trigonal
Density ... 11.26 g/cm3
Spin magnetization ... 5.44 μB per formula unit

```
data_Sr2PuAl3Au12
_space_group_name_H-M_alt 'R -3 m'
_space_group_IT_number 166
_space_group_name_Hall '-R 3 2"'
_cell_length_a 7.0467
_cell_length_b 7.0467
_cell_length_c 29.4692
_cell_angle_alpha 90.00
_cell_angle_beta 90.00
_cell_angle_gamma 120.00
loop_
_atom_site_label
_atom_site_fract_x
_atom_site_fract_y
_atom_site_fract_z
Sr1 0.0000 0.0000 0.1378
Pu1 0.0000 0.0000 0.5000
Al1 0.0000 0.5000 0.0000
Au1 0.0428 0.5214 0.8956
Au2 0.0605 0.5302 0.6253
```


# Rb2CdHgAu

A relaxed Rb2CdHgAu crystal (PBE-GGA, the Alexandria database).

Summary:
Formation enthalpy at 0 K ... -0.01 eV/atom
Crystal system ... tetragonal
Density ... 4.60 g/cm3
Spin magnetization ... 0.16 μB per formula unit

```
data_Rb2CdHgAu
_space_group_name_H-M_alt 'P 4/m m m'
_space_group_IT_number 123
_space_group_name_Hall '-P 4 2'
_cell_length_a 6.807
_cell_length_b 6.807
_cell_length_c 5.309
_cell_angle_alpha 90.00
_cell_angle_beta 90.00
_cell_angle_gamma 90.00
loop_
_atom_site_label
_atom_site_fract_x
_atom_site_fract_y
_atom_site_fract_z
Rb1 0.000 0.500 0.000
Cd1 0.000 0.000 0.000
Hg1 0.500 0.500 0.500
Au1 0.000 0.000 0.500
```


# LaScCrBi2

A relaxed LaScCrBi2 crystal (PBE-GGA, the Alexandria database).

Summary:
Formation enthalpy at 0 K ... 0.03 eV/atom
Crystal system ... tetragonal
Density ... 7.87 g/cm3
Spin magnetization ... 1.68 μB per formula unit

```
data_LaScCrBi2
_space_group_name_H-M_alt 'P 4/m m m'
_space_group_IT_number 123
_space_group_name_Hall '-P 4 2'
_cell_length_a 5.447
_cell_length_b 5.447
_cell_length_c 4.648
_cell_angle_alpha 90.00
_cell_angle_beta 90.00
_cell_angle_gamma 90.00
loop_
_atom_site_label
_atom_site_fract_x
_atom_site_fract_y
_atom_site_fract_z
La1 0.000 0.000 0.000
Sc1 0.500 0.500 0.000
Cr1 0.500 0.500 0.500
Bi1 0.000 0.500 0.500
```


# RbLi3Zn4Cl12

A relaxed RbLi3Zn4Cl12 crystal (PBE-GGA, the Alexandria database).

Summary:
Crystal system ... trigonal
Density ... 2.45 g/cm3
Final energy ... -0.2252 Ry/atom
Spin magnetization ... 0.00 μB per formula unit

```
data_RbLi3Zn4Cl12
_space_group_name_H-M_alt 'R 3 2'
_space_group_IT_number 155
_space_group_name_Hall 'R 3 2"'
_cell_length_a 13.7871
_cell_length_b 13.7871
_cell_length_c 9.7844
_cell_angle_alpha 90.00
_cell_angle_beta 90.00
_cell_angle_gamma 120.00
loop_
_atom_site_label
_atom_site_fract_x
_atom_site_fract_y
_atom_site_fract_z
Rb1 0.0000 0.0000 0.0000
Li1 0.0000 0.5599 0.0000
Zn1 0.0000 0.0000 0.5000
Zn2 0.0000 0.4364 0.5000
Cl1 0.0000 0.5966 0.5000
Cl2 0.0000 0.8398 0.5000
Cl3 0.0576 0.2309 0.1752
```

=====

(1)
HfIrF3 | meta-GGA SCAN | single point on PBEsol structure

Cell and atoms, written as CIF:
```
data_HfIrF3
_cell_length_a 4.2268
_cell_length_b 4.2268
_cell_length_c 4.2268
_cell_angle_alpha 90.00
_cell_angle_beta 90.00
_cell_angle_gamma 90.00
_symmetry_space_group_name_H-M 'P m -3 m'
_symmetry_Int_Tables_number 221
_symmetry_space_group_name_Hall '-P 4 2 3'
loop_
_atom_site_label
_atom_site_type_symbol
_atom_site_fract_x
_atom_site_fract_y
_atom_site_fract_z
Hf1 Hf 0.0000 0.0000 0.0000
Ir1 Ir 0.5000 0.5000 0.5000
F1 F 0.0000 0.5000 0.5000
```

Computed properties:
Total magnetization: 2.0 μB/f.u.
Formation energy (no corrections): -170 meV/atom
Calculated total energy: -145.2 eV per cell

(2)
CaNi2Br | meta-GGA SCAN | single point on PBEsol structure

Cell and atoms, written as CIF:
```
data_CaNi2Br
_cell_length_a 3.6993
_cell_length_b 3.6993
_cell_length_c 5.5101
_cell_angle_alpha 90.00
_cell_angle_beta 90.00
_cell_angle_gamma 90.00
_symmetry_space_group_name_H-M 'P 4/m m m'
_symmetry_Int_Tables_number 123
_symmetry_space_group_name_Hall '-P 4 2'
loop_
_atom_site_label
_atom_site_type_symbol
_atom_site_fract_x
_atom_site_fract_y
_atom_site_fract_z
Ca1 Ca 0.0000 0.0000 0.0000
Ni1 Ni 0.5000 0.5000 0.2072
=====

• Completed:
3